Colouring, known to every child, evokes a sentimental smile in adults. In childhood, the activity of colouring supported manual and graphomotor skills, which we certainly could not have known as children. An activity loved by children, with time unjustly rejected by teachers and ourselves as unnecessary during the subsequent stages of our education. Colouring is a valuable activity for all age groups, and what’s more, it finds a place in the range of health-promoting and preventive activities. When colouring, everyone experiences a feeling of satisfaction.
Painting over ready-made graphic patterns promises an aesthetic effect, giving colour to successive fields allows us to divide our work in small stages. Completing the whole thing gives a sense of satisfaction and increases self-esteem. The scientific approach to the subject helps adults look at colouring in a completely new, revealing way. Colouring is an activity that engages both hemispheres of the brain. It turns out that when colouring, the brain emits waves that are characteristic of relaxation. By using colouring pages we can reduce anxiety and manage stress. Colouring helps with what the contemporary adult really cannot. It helps us relax.
Between two parts of the page: calculated molecules.
<<<
Entry from OMol25: a structure of composition C27H49BeNO6S2 at a distorted geometry (wB97M-V/def2-TZVPD).

Values from the calculation:
HOMO-LUMO gap = 1.60 eV
2S+1 = 1
Energy = -2374.0468 Ha
E_LUMO = -10.52 eV
Charge = +2

Positions of all 86 atoms, in Å:
C (-0.752, 2.024, -2.404)
C (-0.176, 0.705, -2.026)
C (-0.071, 0.136, -0.456)
C (-0.841, -1.327, -0.476)
C (0.249, -2.481, -1.002)
C (-0.386, -3.930, -0.476)
C (0.572, -4.645, 0.694)
S (1.043, -3.474, 2.077)
C (2.819, -3.739, 2.651)
S (3.917, -4.422, 1.522)
N (3.175, -3.305, 4.061)
C (4.649, -2.996, 4.220)
C (5.477, -4.341, 4.664)
O (5.088, -4.913, 5.963)
C (3.747, -4.465, 6.387)
C (2.694, -4.282, 5.112)
O (-1.878, -1.244, -1.512)
C (-3.234, -1.147, -0.956)
C (-4.204, -0.609, -2.208)
C (-4.184, -1.592, -3.519)
C (-4.065, -0.720, -4.940)
C (-2.855, -1.306, -5.898)
O (-1.516, -0.769, -5.567)
C (-1.127, 0.330, -6.465)
O (-1.551, 1.569, -6.117)
C (-3.421, -0.046, 0.247)
O (-3.080, 1.338, -0.118)
C (-3.257, 2.104, 1.153)
O (-1.964, 2.652, 1.670)
C (-1.631, 3.843, 0.874)
C (-0.172, 4.516, 1.200)
C (0.678, 3.786, 2.399)
C (0.734, 4.438, -0.164)
C (1.703, 5.792, -0.326)
C (1.950, 5.930, -1.970)
C (3.176, 5.616, 0.373)
H (-0.092, 2.825, -2.978)
H (-1.892, 2.331, -2.227)
H (0.213, -0.059, -2.855)
H (-0.541, 0.902, 0.302)
H (1.100, 0.045, -0.256)
H (-1.202, -1.698, 0.572)
H (0.282, -2.442, -2.171)
H (1.333, -2.305, -0.596)
H (-1.446, -3.799, 0.042)
H (-0.551, -4.681, -1.389)
H (-0.113, -5.502, 1.162)
H (1.474, -5.207, 0.188)
H (4.726, -2.188, 5.094)
H (5.134, -2.470, 3.274)
H (5.409, -5.230, 3.876)
H (6.631, -4.053, 4.727)
H (3.302, -5.173, 7.238)
H (3.903, -3.414, 6.912)
H (1.719, -3.798, 5.593)
H (2.344, -5.307, 4.657)
H (-3.616, -2.233, -0.687)
H (-5.267, -0.365, -1.786)
H (-3.725, 0.429, -2.544)
H (-5.156, -2.260, -3.638)
H (-3.232, -2.273, -3.492)
H (-3.844, 0.424, -4.727)
H (-5.054, -0.784, -5.589)
H (-2.816, -2.488, -5.742)
H (-3.018, -1.133, -7.044)
H (-0.481, 0.187, -7.454)
H (-4.585, -0.040, 0.512)
H (-2.893, -0.421, 1.250)
H (-4.039, 2.959, 0.896)
H (-3.764, 1.445, 1.989)
H (-2.451, 4.669, 1.051)
H (-1.695, 3.545, -0.260)
H (-0.342, 5.631, 1.532)
H (1.546, 4.548, 2.697)
H (1.229, 2.804, 2.043)
H (0.010, 3.615, 3.354)
H (0.111, 4.376, -1.155)
H (1.440, 3.497, -0.111)
H (1.101, 6.737, 0.028)
H (2.436, 6.965, -2.219)
H (0.970, 5.779, -2.592)
H (2.685, 5.057, -2.282)
H (4.001, 5.564, -0.486)
H (3.197, 4.658, 1.046)
H (3.372, 6.596, 1.003)
Be (0.846, -5.292, 4.577)
>>>
Back to the page.
Synchronization of both hemispheres
While we rest colouring, the brain reorganizes and strengthens its neural networks between the two hemispheres. The hemispheres are connected with each other by the commissural fibers of brain, consisting of white matter (nerve fibers) connecting both hemispheres. The integration of both hemispheres strengthens the nerve pathways responsible for the speed of impulse transmission. Each hemisphere of the brain is believed to have different, specific functions. These functions are not distributed symmetrically throughout the brain. According to the hypothesis of hemispheric specialization, the left hemisphere is linked with: logic, speech, writing, reading, counting, sequencing, perception of details, noticing differences, auditory perception, while the right with: creativity, intuition, emotions, holistic perception, noticing similarities, visual perception, abstract thinking, distinguishing colours and understanding metaphors. This division may erroneously indicate a complete separation in the performance of functions, but it is more about the fact that each of the hemispheres has a different strategy for processing the incoming information. According to current state of knowledge, it can be said that there is a functional asymmetry in terms of speech, visual and spatial abilities and emotions. The hemispheres do not operate in isolation, they constantly communicate with each other, and they are both involved in everything we do. Colouring stimulates both the left and right cerebral hemispheres, improving communication therebetween. Efficient communication between both hemispheres is of significance in the context of cognitive and motor functions. The patterns in the colouring book, demarcated by lines are what activates the “analytical” left hemisphere. The laws of “synthetic” and “creative” hemisphere merge the fragments in a colourful whole. The synchronization of both hemispheres taking place during colouring boosts the operating potential of our brain. This means, that regardless of our age and health condition, our learning efficiency increases. The synchronization of both hemispheres is essential for the correct functioning of the body.
Alpha rhythm
Between two parts of the article: calculated molecules:
┌──
Below is a cluster of 2 separate species, C3H9NO2S in total in a non-equilibrium geometry, with properties calculated with ωB97M-V/def2-TZVPD.

```
! RIJCOSX wB97M-V def2-TZVPD def2/J DEFGRID3
* xyz 0 1
O -0.89955 0.59654 -2.42387
C -0.18233 -0.09057 -1.72236
N -0.60529 -0.81198 -0.67929
C 0.32505 -1.53920 0.15549
C 0.49155 -0.90886 1.51481
S 1.43814 0.64280 1.39132
H 0.91396 -0.12949 -1.82552
H -1.54674 -0.83198 -0.34551
H 1.33146 -1.50760 -0.26653
H 0.06436 -2.60020 0.26901
H 1.05696 -1.57855 2.18604
H -0.40382 -0.60781 2.03396
H 0.58041 1.62486 1.62006
O -0.78682 2.48915 -0.26786
H -0.16731 2.42362 -1.00320
H -1.61004 2.82926 -0.63656
*
```

The frontier orbital gap comes out at 9.98 eV. As for the energy relative to the best compared isomer or geometry (same formula, charge and spin): 27.1 kcal per mole. The SMILES is O=CNCCS.O. As for the maximum force: 1.80 eV/Å.

Löwdin population analysis, charges in e, atoms 1 to 5:
1. O -0.0008
2. C -0.3965
3. N 0.0356
4. C -0.2933
5. C -0.5286


Below is a cluster of 2 separate species, C3H9NO2S in total in a non-equilibrium geometry, with properties calculated with ωB97M-V/def2-TZVPD.

```
! RIJCOSX wB97M-V def2-TZVPD def2/J DEFGRID3
* xyz 0 1
N 1.35496 -0.67722 -0.73263
C 0.24364 -0.48693 0.15859
C -0.59112 0.73995 -0.18691
O -1.44811 0.68512 -1.02686
C -0.54275 -1.73221 0.48794
S 0.43210 -3.11764 1.21519
H 2.30053 -0.61241 -0.41191
H 1.22389 -0.44256 -1.70122
H 0.75986 -0.20548 1.09270
H -0.16936 1.67754 0.20463
H -1.06373 -2.18919 -0.35598
H -1.30839 -1.53684 1.23405
H 1.16002 -2.21352 1.89372
O -0.13860 6.48172 -1.21147
H -0.61753 7.11508 -0.65810
H -0.25808 5.65036 -0.74204
*
```

The frontier orbital gap comes out at 9.61 eV. As for the energy relative to the best compared isomer or geometry (same formula, charge and spin): 52.1 kcal per mole. The SMILES is N[C@@H](C=O)CS.O. As for the maximum force: 2.32 eV/Å.

Löwdin population analysis, charges in e, atoms 1 to 5:
1. N 0.0620
2. C -0.4775
3. C -0.2137
4. O 0.0754
5. C -0.5252


Below is a cluster of 2 separate species, C3H9NO2S2 in total in a non-equilibrium geometry, with properties calculated with ωB97M-V/def2-TZVPD.

```
! RIJCOSX wB97M-V def2-TZVPD def2/J DEFGRID3
* xyz 0 1
N 0.01354 -0.76139 1.25788
C -0.03714 -1.57975 0.16915
O -0.23930 -2.77125 0.26201
C 0.22588 -0.88763 -1.15589
C -0.80626 0.20358 -1.43005
S -0.51570 0.99872 -3.06657
S 1.28455 1.90266 -2.60893
H 0.13562 0.23631 1.19317
H -0.42902 -1.08150 2.10250
H 1.26814 -0.57437 -1.26441
H 0.05604 -1.61795 -1.93207
H -0.94795 1.06657 -0.79811
H -1.75509 -0.33006 -1.56476
H 1.77264 1.88213 -3.85641
O -0.15721 1.10400 3.87255
H 0.75235 0.87108 4.12614
H -0.62109 1.33885 4.69379
*
```

The frontier orbital gap comes out at 8.83 eV. As for the energy relative to the best compared isomer or geometry (same formula, charge and spin): 11.0 kcal per mole. The SMILES is NC(=O)CCSS.O. As for the maximum force: 1.47 eV/Å.

Löwdin population analysis, charges in e, atoms 1 to 5:
1. N 0.1636
└──
The brain is an electrochemical organ, and its electrical activity is demonstrated by the brain waves, which we can observe in EEG imaging. We can distinguish five ranges of brain waves, they are, starting from the lowest frequencies: delta, theta, alpha, beta and gamma waves. All waves are induced all the time and we need them, but one of them may be more active. The delta and theta waves are associated with sleep and a state of very deep meditation, alpha waves with the state of relaxed alertness, beta ones with normal daytime activities, and the fastest gamma waves form the least understood group of waves, and they are recorded in extreme emotions. It was noticed that the brain wave patterns differ depending on the activity performed, the current state of health and the state of mind. It turns out that the middle wave range is very beneficial for humans and, what’s more, it can be achieved, while the subject is awake. Once again, it is true that sticking to the golden middle is the path to happiness. Alpha brain waves with a frequency of 7-14 Hz are described as waves of well-being, calmness, and positive thinking. The alpha state is a state of conscious awareness, of being “here and now”. During the day we are most under the influence of the higher, beta frequency range. The beta state can be described as the state of everyday life and consciousness. This state is characterized by increased attention and vigilance, but prolonged exposure to this frequency is associated with stress and anxiety. Fortunately, we can lower our brain activity state, and transfer from the beta state to the alpha state. Once the alpha brain waves dominate, the work of the right and left hemispheres of the brain is synchronized. This synchronization brings harmony not only to the mind and spirit, but also to the body. The alpha state naturally occurs during the day before falling asleep and as soon as you wake up. The beneficial alpha state can be consciously induced at other times of the day. Various techniques are helpful, and colouring is just one of them.In the alpha state, we have access to ourselves. These waves disappear with physical and mental exertion, and they appear during a state similar to meditation. It is worth mentioning that the value of the alpha waves decreases in the elderly, which results in cognitive decline and may be related to depression at this age. Work on treating depression also concentrates at boosting the alpha wave range. The insufficient values of this wave are manifested by a drop in mood and motivation as well as low self-esteem. In the alpha state, awareness is maintained and relaxation comes. These waves raise the level of neurotransmitters, making us feel better. VR TierOne uses colouring-based tasks in virtual therapy, enabling patients undergoing therapeutic sessions to get rid of internal chaos and anxiety. This favourable condition can be continued by applying the therapeutic colouring book designed for this purpose.
Rehabilitation of cognitive functions
Cognitive impairment is observed in patients struggling with mental and neurological diseases, in the course of exacerbations of chronic somatic diseases. By using the benefits of a simple method of colouring, we can support psychomotor coordination, spatial orientation, task orientation, creativity and motivation in a non-pharmacological manner. The use of colouring as a form of occupational therapy is based on patients’ abilities. It strengthens the psyche and improves well-being, and in the motor dimension, sticking to the contours while colouring enhances manual perfection. It allows us to activate both hemispheres of the brain, combining creativity with logic. The harmonious work of both hemispheres is required for the identification of both the image as a whole and the local fragment of the pattern to be coloured. Active work of both cerebral hemispheres brings relaxation. Colouring improves our concentration and memory. It is a good warm-up for other activities that require thinking. Colouring pages are also used by psychologists for patients suffering from substance abuse or eating disorders.
The positive impact of colours
Colours have energy related to the wavelength of the electromagnetic wave. It is known that colours affect the well-being of a person and that the mental state can be changed with their aid. The therapeutic method called chromotherapy (colour therapy) relies on exposing the sense of our sight to the effect of colours. According to the knowledge on which colour therapy is based, red colour is linked with stimulating and accelerating metabolism. Red symbolizes what is tangible, earthly and carnal. Blue symbolizes what is immaterial and spiritual. Exposure to the right colour can restore our lost balance. When colouring, we should listen to our body and use the colours that our intuition suggests us. The choice of colour defines the disposition, mood and state of health. Introducing subsequent colours to the drawing and communing with them allows us to feel better and achieve harmony.
The trivial activity of colouring supported by scientific reports allows us to understand that there is a deeper sense to this activity. Colouring can certainly be called a calming activity, that fosters creativity, concentration and well-being. The therapeutic effect of colouring is to alleviate unfavourable mental states and optimize the reaching of health and life objectives. Logical arguments and the widespread availability of this form of relaxation speak for the growing interest in the therapeutic effect of colouring.